Entries =
........
A 5-piece molecular cluster, C3H16NO4 overall in a non-equilibrium geometry, computed with the ωB97M-V functional and the def2-TZVPD basis.

```
24
Properties=species:S:1:pos:R:3:mulliken_spin:R:1
C 2.150 1.299 1.470 -0.025
C 2.394 -0.202 1.144 -0.008
C 3.128 -1.075 -1.039 0.712
N 2.176 -0.495 -0.239 0.272
H 1.088 1.479 1.530 0.021
H 2.547 1.901 0.656 0.007
H 2.687 1.485 2.399 -0.005
H 1.720 -0.800 1.767 0.008
H 3.426 -0.391 1.432 0.017
H 2.788 -1.461 -1.981 0.011
H 4.129 -1.111 -0.640 0.028
H 1.241 -0.337 -0.626 -0.041
H -5.059 -1.045 0.823 0.000
H -5.468 0.207 1.471 0.000
O -4.699 -0.165 1.013 0.000
H -1.960 0.018 -4.128 0.000
H -1.854 -1.329 -3.468 0.000
O -1.431 -0.462 -3.484 0.000
H -2.139 1.495 1.776 0.000
H -2.718 0.105 1.320 0.000
O -1.922 0.652 1.375 0.001
H -0.787 -0.328 -1.562 0.000
H -1.044 0.375 -0.161 0.000
O -0.391 0.186 -0.847 0.000
```

As for the HOMO energy (alpha / beta): -4.641 / -8.668 eV. As for the orbital gap (alpha / beta): 4.7 / 8.8 eV. As for the spin multiplicity: 2. For the energy above the lowest of the compared OMol25 structures with the same formula, charge and spin, the calculation gives 0.000 eV.
........

What to do =
Could you return the entries above from the first line to the one with "1.432 0.017" with every line break kept?

Done =
A 5-piece molecular cluster, C3H16NO4 overall in a non-equilibrium geometry, computed with the ωB97M-V functional and the def2-TZVPD basis.

```
24
Properties=species:S:1:pos:R:3:mulliken_spin:R:1
C 2.150 1.299 1.470 -0.025
C 2.394 -0.202 1.144 -0.008
C 3.128 -1.075 -1.039 0.712
N 2.176 -0.495 -0.239 0.272
H 1.088 1.479 1.530 0.021
H 2.547 1.901 0.656 0.007
H 2.687 1.485 2.399 -0.005
H 1.720 -0.800 1.767 0.008
H 3.426 -0.391 1.432 0.017